Please find the line further below that holds "position.", then echo that line and all lines after it there.

~~~
This record from the OMol25 dataset describes 3 unconnected molecules or ions with the total composition C3H4Cl2O2S. The level of theory is ωB97M-V with the def2-TZVPD basis set.

Bonds (Å) are listed after each position.
Geometry (Å):
1 H 3.55557 -0.63305 0.20595  C12 0.974
2 O -1.94294 1.99248 2.04625  S9 1.462
3 Cl 0.07732 0.75420 0.67939  C10 1.731
4 Cl -2.95737 0.77304 -0.94693  H11 1.301
5 H 1.28663 -1.99896 -1.29657  C7 1.132
6 O -2.60271 -0.36141 2.49751  S9 1.447
7 C 1.72973 -0.95914 -1.23353  H5 1.132, H8 1.128, C10 1.506, C12 1.520
8 H 1.82673 -0.58914 -2.29522  C7 1.128
9 S -3.00246 0.99921 2.21170  O2 1.462, O6 1.447
10 C 1.36524 -0.18590 0.00600  Cl3 1.731, C7 1.506, C12 1.316
11 H -1.96676 0.74485 -1.79007  Cl4 1.301
12 C 2.63103 -0.53619 -0.08447  H1 0.974, C7 1.520, C10 1.316

The value obtained for the orbital gap is 8.0 eV. Its HOMO energy is -0.3407 Eh. The total energy comes out at -1585.63206 a.u. Its LUMO energy is -1.23 eV. The relative energy (zero: lowest compared OMol25 entry of this formula, charge and spin) comes out at 2.829 eV. The charge is 0. The largest force on an atom is 0.131 Eh/bohr. The multiplicity is 1.
~~~

Bonds (Å) are listed after each position.
Geometry (Å):
1 H 3.55557 -0.63305 0.20595  C12 0.974
2 O -1.94294 1.99248 2.04625  S9 1.462
3 Cl 0.07732 0.75420 0.67939  C10 1.731
4 Cl -2.95737 0.77304 -0.94693  H11 1.301
5 H 1.28663 -1.99896 -1.29657  C7 1.132
6 O -2.60271 -0.36141 2.49751  S9 1.447
7 C 1.72973 -0.95914 -1.23353  H5 1.132, H8 1.128, C10 1.506, C12 1.520
8 H 1.82673 -0.58914 -2.29522  C7 1.128
9 S -3.00246 0.99921 2.21170  O2 1.462, O6 1.447
10 C 1.36524 -0.18590 0.00600  Cl3 1.731, C7 1.506, C12 1.316
11 H -1.96676 0.74485 -1.79007  Cl4 1.301
12 C 2.63103 -0.53619 -0.08447  H1 0.974, C7 1.520, C10 1.316

The value obtained for the orbital gap is 8.0 eV. Its HOMO energy is -0.3407 Eh. The total energy comes out at -1585.63206 a.u. Its LUMO energy is -1.23 eV. The relative energy (zero: lowest compared OMol25 entry of this formula, charge and spin) comes out at 2.829 eV. The charge is 0. The largest force on an atom is 0.131 Eh/bohr. The multiplicity is 1.